Question about receipt validation on android store. I have some code for a non-consumable IAP to verify that it hasn’t been refunded or cancelled. If it has, the code will remove the benefits they got from buying it.
The question is: if they purchase the non-consumable, get refunded, then purchase it again, will it return two product receipts, one good one refunded? Or will it only return the most recent receipt? I’m not sure how I could test this
The code I’m using is the below:
public bool ValidateVeteran()
if (!m_StoreController.products.WithID(veteran_productid).hasReceipt)
return false;
var validator = new CrossPlatformValidator(GooglePlayTangle.Data(), AppleTangle.Data(), Application.identifier);
statusUpdate("Verifying Receipt");
# These materials data were left in the article by mistake
'''
Entry 1:
The following is a DFT calculation (meta-GGA r2SCAN) of crystalline KIn2F7 at its relaxed geometry.

## Properties
- Magnetic moment: 0.000 μB per cell
- Final energy: -101.751 eV per formula unit

```
data_KIn2F7
_cell_length_a 6.674
_cell_length_b 8.188
_cell_length_c 10.787
_cell_angle_alpha 90.00
_cell_angle_beta 90.00
_cell_angle_gamma 90.00
_space_group_name_H-M_alt 'P 1 21/m 1'
_space_group_IT_number 11
_space_group_name_Hall '-P 2yb'
loop_
_atom_site_label
_atom_site_fract_x
_atom_site_fract_y
_atom_site_fract_z
K1 0.248 0.250 0.250
K2 0.250 0.750 0.249
In1 0.250 0.004 0.558
In2 0.250 0.004 0.942
F1 0.061 0.519 0.107
F2 0.061 0.521 0.394
F3 0.250 0.053 0.750
F4 0.250 0.250 0.509
F5 0.250 0.250 0.991
F6 0.250 0.750 0.587
F7 0.250 0.750 0.916
F8 0.438 0.520 0.394
F9 0.439 0.519 0.107
```

***

Entry 2:
The following is a DFT calculation (meta-GGA r2SCAN) of crystalline K3InF6 at its relaxed geometry.

## Properties
- Magnetic moment: 0.000 μB per cell
- Final energy: -88.921 eV per formula unit

```
data_K3InF6
_cell_length_a 8.959
_cell_length_b 8.959
_cell_length_c 8.959
_cell_angle_alpha 90.00
_cell_angle_beta 90.00
_cell_angle_gamma 90.00
_space_group_name_H-M_alt 'P n -3'
_space_group_IT_number 201
loop_
_space_group_symop_operation_xyz
'x,y,z'
'-x,-y,-z'
'-x+1/2,-y+1/2,z'
'x+1/2,y+1/2,-z'
'x,-y+1/2,-z+1/2'
'-x,y+1/2,z+1/2'
'-x+1/2,y,-z+1/2'
'x+1/2,-y,z+1/2'
'z,x,y'
'-z,-x,-y'
'z,-x+1/2,-y+1/2'
'-z,x+1/2,y+1/2'
'-z+1/2,x,-y+1/2'
'z+1/2,-x,y+1/2'
'-z+1/2,-x+1/2,y'
'z+1/2,x+1/2,-y'
'y,z,x'
'-y,-z,-x'
'-y+1/2,z,-x+1/2'
'y+1/2,-z,x+1/2'
'-y+1/2,-z+1/2,x'
'y+1/2,z+1/2,-x'
'y,-z+1/2,-x+1/2'
'-y,z+1/2,x+1/2'
loop_
_atom_site_label
_atom_site_fract_x
_atom_site_fract_y
_atom_site_fract_z
K1 0.000 0.000 0.000
K2 0.250 0.250 0.250
K3 0.250 0.250 0.750
In1 0.000 0.000 0.500
F1 0.039 0.724 0.949
```

***

Entry 3:
The following is a DFT calculation (meta-GGA r2SCAN) of crystalline InOF at its relaxed geometry.

## Properties
- Magnetic moment: 0.000 μB per cell
- Final energy: -38.552 eV per formula unit

```
data_InOF
_cell_length_a 7.065
_cell_length_b 8.407
_cell_length_c 10.239
_cell_angle_alpha 90.00
_cell_angle_beta 90.00
_cell_angle_gamma 90.00
_space_group_name_H-M_alt 'F d d d'
_space_group_IT_number 70
loop_
_space_group_symop_operation_xyz
'x,y,z'
'-x,-y,-z'
'-x+1/4,-y+1/4,z'
'x+1/4,y+1/4,-z'
'x,-y+1/4,-z+1/4'
'''
// On Google Play, result has a single product ID.
// On Apple stores, receipts contain multiple products.
var result = validator.Validate(m_StoreController.products.WithID(veteran_productid).receipt);
// For informational purposes, we list the receipt(s)
Debug.Log("Receipt is valid. Contents:");
foreach (IPurchaseReceipt productReceipt in result)
if (productReceipt is GooglePlayReceipt google)
Debug.Log("Vet Purchase State: " + google.purchaseState);
if (google.purchaseState == GooglePurchaseState.Refunded || google.purchaseState == GooglePurchaseState.Cancelled)
return false;
return true;
catch (IAPSecurityException)
Debug.Log("Invalid receipt, not unlocking content");
//validPurchase = false;
return false;
Alternatively if there could be multiple receipts for the product return I would use this:
public bool ValidateVeteran()
if (!m_StoreController.products.WithID(veteran_productid).hasReceipt)
return false;
var validator = new CrossPlatformValidator(GooglePlayTangle.Data(), AppleTangle.Data(), Application.identifier);
statusUpdate("Verifying Receipt");
// On Google Play, result has a single product ID.
// On Apple stores, receipts contain multiple products.
var result = validator.Validate(m_StoreController.products.WithID(veteran_productid).receipt);
// For informational purposes, we list the receipt(s)
bool goodreceipt = false;
Debug.Log("Receipt is valid. Contents:");
foreach (IPurchaseReceipt productReceipt in result)
if (productReceipt is GooglePlayReceipt google)
Debug.Log("Vet Purchase State: " + google.purchaseState);
if (google.purchaseState != GooglePurchaseState.Refunded && google.purchaseState != GooglePurchaseState.Cancelled)
goodreceipt = true;
return goodreceipt;
catch (IAPSecurityException)
Debug.Log("Invalid receipt, not unlocking content");
//validPurchase = false;
return false;